What to do =
Return the whole of the calculation results underneath unchanged.
Input =
K2NaScF6 after structural relaxation, computed with GGA-PBE. Values from VASP.

Cell and atoms, written as Quantum ESPRESSO input:
```
&SYSTEM
  ibrav = 0, nat = 10, ntyp = 4
/
ATOMIC_SPECIES
K 39.10 K.upf
Na 22.99 Na.upf
Sc 44.96 Sc.upf
F 19.00 F.upf
ATOMIC_POSITIONS angstrom
K 2.1524 2.1524 2.1524
K 6.4573 6.4573 6.4573
Na 0.0000 0.0000 0.0000
Sc 4.3049 4.3049 4.3049
F 4.3049 4.3049 2.2745
F 4.3049 2.2745 4.3049
F 6.3352 4.3049 4.3049
F 2.2745 4.3049 4.3049
F 4.3049 6.3352 4.3049
F 4.3049 4.3049 6.3352
CELL_PARAMETERS angstrom
0.0000 4.3049 4.3049
4.3049 0.0000 4.3049
4.3049 4.3049 0.0000
```

Results
calculated density = 2.71 g cm⁻³
calculated total energy = -5.43 eV per atom
total magnetic moment = 0.00 μB/cell
space group = No. 225

----------

# 1
Sm2WO6: relaxed, r²SCAN.

Cell lengths 5.3329, 9.2212, 10.0851 Å; angles 90.00, 90.00, 90.00 degrees
Last column: nearest neighbours and their distance in Å.
Atoms (fractional coordinates):
Sm1 0.0238 0.1037 0.4643  6 O 2.29-2.46
Sm2 0.0331 0.2189 0.8704  7 O 2.36-2.43
Sm3 0.4669 0.7811 0.3704  7 O 2.36-2.43
Sm4 0.4762 0.8963 0.9643  6 O 2.29-2.46
Sm5 0.5238 0.3963 0.5357  6 O 2.29-2.46
Sm6 0.5331 0.2811 0.1296  7 O 2.36-2.43
Sm7 0.9669 0.7189 0.6296  7 O 2.36-2.43
Sm8 0.9762 0.6037 0.0357  6 O 2.29-2.46
W1 0.0419 0.4959 0.3494  6 O 1.86-2.01
W2 0.4581 0.5041 0.8494  6 O 1.86-2.01
W3 0.5419 0.0041 0.6506  6 O 1.86-2.01
W4 0.9581 0.9959 0.1506  6 O 1.86-2.01
O1 0.0715 0.8480 0.0268  1 W 1.95
O2 0.1717 0.9509 0.2903  1 W 1.86
O3 0.1876 0.6360 0.8204  1 W 1.91
O4 0.1875 0.6383 0.2382  1 W 1.89
O5 0.2238 0.1113 0.0660  1 W 1.97
O6 0.2486 0.4100 0.9911  1 W 2.01
O7 0.2514 0.5900 0.4911  1 W 2.01
O8 0.2762 0.8887 0.5660  1 W 1.97
O9 0.3125 0.3617 0.7382  1 W 1.89
O10 0.3124 0.3640 0.3204  1 W 1.91
O11 0.3283 0.0491 0.7903  1 W 1.86
O12 0.4285 0.1520 0.5268  1 W 1.95
O13 0.5715 0.6520 0.9732  1 W 1.95
O14 0.6717 0.5491 0.7097  1 W 1.86
O15 0.6875 0.8617 0.7618  1 W 1.89
O16 0.6876 0.8640 0.1796  1 W 1.91
O17 0.7238 0.3887 0.9340  1 W 1.97
O18 0.7486 0.0900 0.0089  1 W 2.01
O19 0.7514 0.9100 0.5089  1 W 2.01
O20 0.7762 0.6113 0.4340  1 W 1.97
O21 0.8124 0.1360 0.6796  1 W 1.91
O22 0.8125 0.1383 0.2618  1 W 1.89
O23 0.8283 0.4509 0.2097  1 W 1.86
O24 0.9285 0.3480 0.4732  1 W 1.95

Output
Energy relative to the lowest polymorph listed for this composition, kcal/mol of atoms: 0.048
Calculated formation energy, eV per atom: -3.27
Size of the total moment, Bohr magnetons per cell: 0.000
SG: No. 19
Calculated total energy, eV for the cell shown: -704.3
Crystal system: orthorhombic



# 2
SmY15O24: relaxed, r²SCAN.

Cell lengths 9.1976, 9.1976, 10.6254 Å; angles 125.19, 125.19, 70.61 degrees
Last column: nearest neighbours and their distance in Å.
Atoms (fractional coordinates):
Sm1 0.0000 0.0000 0.0000  6 O 2.30-2.39
Y1 0.0317 0.4665 0.7484  6 O 2.27-2.29
Y2 0.0316 0.4699 0.2509  6 O 2.28-2.29
Y3 0.0640 0.9360 0.5000  6 O 2.25-2.34
Reply =
K2NaScF6 after structural relaxation, computed with GGA-PBE. Values from VASP.

Cell and atoms, written as Quantum ESPRESSO input:
```
&SYSTEM
  ibrav = 0, nat = 10, ntyp = 4
/
ATOMIC_SPECIES
K 39.10 K.upf
Na 22.99 Na.upf
Sc 44.96 Sc.upf
F 19.00 F.upf
ATOMIC_POSITIONS angstrom
K 2.1524 2.1524 2.1524
K 6.4573 6.4573 6.4573
Na 0.0000 0.0000 0.0000
Sc 4.3049 4.3049 4.3049
F 4.3049 4.3049 2.2745
F 4.3049 2.2745 4.3049
F 6.3352 4.3049 4.3049
F 2.2745 4.3049 4.3049
F 4.3049 6.3352 4.3049
F 4.3049 4.3049 6.3352
CELL_PARAMETERS angstrom
0.0000 4.3049 4.3049
4.3049 0.0000 4.3049
4.3049 4.3049 0.0000
```

Results
calculated density = 2.71 g cm⁻³
calculated total energy = -5.43 eV per atom
total magnetic moment = 0.00 μB/cell
space group = No. 225

----------

# 1
Sm2WO6: relaxed, r²SCAN.

Cell lengths 5.3329, 9.2212, 10.0851 Å; angles 90.00, 90.00, 90.00 degrees
Last column: nearest neighbours and their distance in Å.
Atoms (fractional coordinates):
Sm1 0.0238 0.1037 0.4643  6 O 2.29-2.46
Sm2 0.0331 0.2189 0.8704  7 O 2.36-2.43
Sm3 0.4669 0.7811 0.3704  7 O 2.36-2.43
Sm4 0.4762 0.8963 0.9643  6 O 2.29-2.46
Sm5 0.5238 0.3963 0.5357  6 O 2.29-2.46
Sm6 0.5331 0.2811 0.1296  7 O 2.36-2.43
Sm7 0.9669 0.7189 0.6296  7 O 2.36-2.43
Sm8 0.9762 0.6037 0.0357  6 O 2.29-2.46
W1 0.0419 0.4959 0.3494  6 O 1.86-2.01
W2 0.4581 0.5041 0.8494  6 O 1.86-2.01
W3 0.5419 0.0041 0.6506  6 O 1.86-2.01
W4 0.9581 0.9959 0.1506  6 O 1.86-2.01
O1 0.0715 0.8480 0.0268  1 W 1.95
O2 0.1717 0.9509 0.2903  1 W 1.86
O3 0.1876 0.6360 0.8204  1 W 1.91
O4 0.1875 0.6383 0.2382  1 W 1.89
O5 0.2238 0.1113 0.0660  1 W 1.97
O6 0.2486 0.4100 0.9911  1 W 2.01
O7 0.2514 0.5900 0.4911  1 W 2.01
O8 0.2762 0.8887 0.5660  1 W 1.97
O9 0.3125 0.3617 0.7382  1 W 1.89
O10 0.3124 0.3640 0.3204  1 W 1.91
O11 0.3283 0.0491 0.7903  1 W 1.86
O12 0.4285 0.1520 0.5268  1 W 1.95
O13 0.5715 0.6520 0.9732  1 W 1.95
O14 0.6717 0.5491 0.7097  1 W 1.86
O15 0.6875 0.8617 0.7618  1 W 1.89
O16 0.6876 0.8640 0.1796  1 W 1.91
O17 0.7238 0.3887 0.9340  1 W 1.97
O18 0.7486 0.0900 0.0089  1 W 2.01
O19 0.7514 0.9100 0.5089  1 W 2.01
O20 0.7762 0.6113 0.4340  1 W 1.97
O21 0.8124 0.1360 0.6796  1 W 1.91
O22 0.8125 0.1383 0.2618  1 W 1.89
O23 0.8283 0.4509 0.2097  1 W 1.86
O24 0.9285 0.3480 0.4732  1 W 1.95

Output
Energy relative to the lowest polymorph listed for this composition, kcal/mol of atoms: 0.048
Calculated formation energy, eV per atom: -3.27
Size of the total moment, Bohr magnetons per cell: 0.000
SG: No. 19
Calculated total energy, eV for the cell shown: -704.3
Crystal system: orthorhombic



# 2
SmY15O24: relaxed, r²SCAN.

Cell lengths 9.1976, 9.1976, 10.6254 Å; angles 125.19, 125.19, 70.61 degrees
Last column: nearest neighbours and their distance in Å.
Atoms (fractional coordinates):
Sm1 0.0000 0.0000 0.0000  6 O 2.30-2.39
Y1 0.0317 0.4665 0.7484  6 O 2.27-2.29
Y2 0.0316 0.4699 0.2509  6 O 2.28-2.29
Y3 0.0640 0.9360 0.5000  6 O 2.25-2.34